“I recently appeared for my board exams and have obtained 84 percent,” says Sunanda. Dressed in a blue skirt and checked shirt, her articulation and clear usage of language might betray you to think of her to be a product of a metropolitan school. Dig a little deeper and you will know that Sunanda is one of the 3,000 first-generation rural children being educated through Art of Living’s tribal welfare projects in Jharkhand. Bringing education to their lives is the passion and dream of Brij Chawla. It's the zeal of this 74-year-old retired engineer to impart education in the lives of the tribals of India that brought him to Ghatshila, where he set up the first Sri Sri Vidya Mandir in 1999.
“Initially, it was a challenge to convince parents to send their kids to school, since it was a loss of one earning member for them,” shares Mr. Chawla. It was this singular purpose of educating the tribal kids that arose in him and led to a movement, which saw the springing up of 20 schools in 14 years in the region. These schools reach out to children from over 100 villages.
Every step of his is in the direction of empowering and giving the children a chance to explore their potential. “The journey has been arduous and exciting,” says Chawla. “We believed that local teachers who understood the ethos of the children were necessary. We experimented by introducing a teacher’s training program with a fun-based learning approach,” he says, while speaking of his innovative approach to overcome the problem of finding teachers in rural areas. Chawla recognized the need of uninhibited child development with a focus on value-based education that laid emphasis on hygiene, culture preservation, non-violence, technology, and environment friendliness. From innovative training programs—especially for teachers—to inculcating responsibility within the children, the schools also provides a platform for vocational training in the inaccessible corners of the country. These schools could very well be the vehicles of rural reform, and Brij Chawla is relentlessly working to achieve this goal.
India's Jharkhand state boasts a huge tribal population and is one of the states struggling with the Naxalite problem. As the place is isolated from neighboring areas, the tribes living there have no exposure to the modern world or latest technology. Very few are able to get proper education, and this is adversely affecting the next generation. This was a major concern for Chawla. The urge to transform these regions compelled him to quit his job 15 years ago. He resigned from the post of General Manager in Bhartiya Cutler Hammer to work towards bringing Naxal-affected tribes into the mainstream.
Today, Chawla has formed a team to work for the children in Naxal-manifested areas. The team’s initiative, coined Small Step on a Long Journey, is a big leap towards development in Jharkhand. Two high schools, one middle school, and fourteen primary schools have come up across the state, imparting free education to 3,000 first-generation school-goers. This is testimony to the team’s resolve to empower the village with modern facilities coupled with a value-based education, as it is an effective aid to their mission of holistic education—a hallmark of Sri Sri Vidya Mandirs all over.
-- Unrelated to this entry: data records --
/*
[1]
Density functional theory data (PBEsol) for a relaxed structure of CaFeP2O7.

Cell: 6.450 6.437 6.585 Å, 80.66 80.62 67.87°
Fractional coordinates of all 22 atoms:
P: 0.163 0.637 0.104
P: 0.837 0.363 0.896
P: 0.258 0.211 0.617
P: 0.742 0.789 0.383
Ca: 0.224 0.723 0.581
Ca: 0.776 0.277 0.419
Fe: 0.315 0.080 0.110
Fe: 0.685 0.920 0.890
O: 0.043 0.769 0.915
O: 0.957 0.231 0.085
O: 0.255 0.777 0.206
O: 0.745 0.223 0.794
O: 0.318 0.399 0.070
O: 0.682 0.601 0.930
O: 0.602 0.652 0.489
O: 0.398 0.348 0.511
O: 0.178 0.103 0.468
O: 0.822 0.897 0.532
O: 0.037 0.400 0.717
O: 0.963 0.600 0.283
O: 0.635 0.966 0.206
O: 0.365 0.034 0.794

- Uncorrected formation energy: -219.8 kJ per mole of atoms
- Raw total energy: -7.680 eV per atom
- Calculated density: 3.6 Mg/m³
- Space group: P-1
- Size of the total moment: 8.000 Bohr magnetons per cell

---

[2]
Density functional theory data (PBEsol) for a relaxed structure of Ca2FeReO6.

Cell: 5.268 5.418 7.517 Å, 90.00 89.61 90.00°
Fractional coordinates of all 20 atoms:
Re: 0.500 0.000 0.000
Re: 0.000 0.500 0.500
Ca: 0.013 0.949 0.752
Ca: 0.487 0.449 0.748
Ca: 0.987 0.051 0.248
Ca: 0.513 0.551 0.252
Fe: 0.000 0.500 0.000
Fe: 0.500 0.000 0.500
O: 0.082 0.481 0.249
O: 0.418 0.981 0.251
O: 0.918 0.519 0.751
O: 0.582 0.019 0.749
O: 0.796 0.792 0.042
O: 0.704 0.292 0.458
O: 0.204 0.208 0.958
O: 0.296 0.708 0.542
O: 0.296 0.706 0.958
O: 0.204 0.206 0.542
O: 0.796 0.794 0.458
O: 0.704 0.294 0.042

- Uncorrected formation energy: -203.4 kJ per mole of atoms
- Raw total energy: -7.914 eV per atom
- Calculated density: 6.5 Mg/m³
- Space group: P2_1/c
- Size of the total moment: 0.658 Bohr magnetons per cell

---

[3]
Density functional theory data (PBEsol) for a relaxed structure of Ca3FeRhO6.

Cell: 6.351 6.351 6.351 Å, 91.64 91.64 91.64°
Fractional coordinates of all 22 atoms:
Ca: 0.619 0.881 0.250
Ca: 0.250 0.619 0.881
Ca: 0.881 0.250 0.619
Ca: 0.381 0.119 0.750
Ca: 0.119 0.750 0.381
Ca: 0.750 0.381 0.119
Fe: 0.250 0.250 0.250
Fe: 0.750 0.750 0.750
Rh: 0.000 0.000 0.000
Rh: 0.500 0.500 0.500
O: 0.799 0.598 0.461
O: 0.598 0.461 0.799
O: 0.461 0.799 0.598
O: 0.039 0.902 0.701
O: 0.902 0.701 0.039
O: 0.701 0.039 0.902
O: 0.201 0.402 0.539
O: 0.402 0.539 0.201
O: 0.539 0.201 0.402
O: 0.961 0.098 0.299
O: 0.299 0.961 0.098
O: 0.098 0.299 0.961

- Uncorrected formation energy: -206.1 kJ per mole of atoms
- Raw total energy: -7.136 eV per atom
- Calculated density: 4.9 Mg/m³
- Space group: R-3c
- Size of the total moment: 10.018 Bohr magnetons per cell

---

[4]
Density functional theory data (PBEsol) for a relaxed structure of Ca2FeSbO6.

Cell: 5.420 5.562 7.731 Å, 90.00 89.75 90.00°
Fractional coordinates of all 20 atoms:
Ca: 0.013 0.052 0.251
Ca: 0.487 0.552 0.249
Ca: 0.513 0.448 0.751
Ca: 0.987 0.948 0.749
Fe: 0.000 0.500 0.500
Fe: 0.500 0.000 0.000
Sb: 0.000 0.500 0.000
Sb: 0.500 0.000 0.500
O: 0.406 0.030 0.749
O: 0.094 0.530 0.751
O: 0.594 0.970 0.251
O: 0.906 0.470 0.249
O: 0.800 0.206 0.951
O: 0.700 0.706 0.549
*/
These first-time students are taught their native languages of Mundari and Oraon along with the script Akiki. Mastery over linguistics, semantics, vocabulary, and grammar in one language opens the door to effective communications for their young minds. Once this is done, grasping other languages like Hindi and English becomes comparatively easier.
A Unique Blend of Subjects
For Science and Mathematics, the team has a unique blend that's in consonance with the day-to-day life of the people. For example, the concepts of environment protection, ecological balance, greenhouse gases, and ozone layer depletion are explained through Sarhul festivities (the worship of nature and its flora). This is a unique and innovative way to impart education. The lives of notable tribal personalities like Birsa Munda and Sidhu Kanhu are highlighted in the classes to inculcate a sense of self-esteem as well as respect for tribal culture. Children are inspired to emulate iconic tribal leaders and personalities.
The Art of Living Foundation initiated the tribal project to protect and equip the locals to adapt to the changing world and keep in tune with globalization. Moreover, one of the most effective ways to save the environment is to educate the tribes.
Basic Education
The first step was to impart basic education to first-generation learners without replicating a typical urban school model. The aim was to educate the children and help them become mature individuals who will care for their fellow beings and respect the environment. The curriculum is well-balanced, combining the practical aspects of education in secular languages, arithmetic, moral education, agriculture, yoga, meditation, and games. It includes all the subjects taught at any regular school and aims to develop an individual who really cares and shares.
Imparting education to first-generation learners was started at Sri Sri Vidya Mandirs in 1999. The schools have also become hubs of rural development. Some of their projects include imparting knowledge of zero-budget natural farming to farmers, running technical training centers for the rural youth, conducting free medical camps, and organizing extensive tree plantation drives.
The schools' teachers are chosen from the villages, and each school is equipped with a multimedia room that runs on solar power. The teachers are groomed to understand the value of and provide uninhibited child development with a focus on value-based education, which lays emphasis on hygiene, culture preservation, non-violence, technology, and environment friendliness. Native games like archery, hockey, kabaddi, and soccer find a place in the daily routines of these children. A state-of-the-art computer lab set up with the help of Juniper Networks makes every student full of pride.
An Overview of the Tribal School Project
- 48 percent girls
- 97 percent school attendance
- Dropout rate is below 15 percent
- Over 400 new enrolments every year
- Teachers recruited from local villages
- Teacher's Training Institute set up in Sep 2011
- The Tribal School Project runs 10 schools in Ghatsila block, 3 schools in Dumuria block, 3 schools in the Ranchi block of Jharkhand, and 2 schools in West Bengal
“A school should be a place for uninhibited child development,” says Chawala. “Children in our schools are armed with the knowledge and skills to navigate through mainstream life while celebrating and preserving their unique tribal culture,” he adds.
Chandan, a class IX student of Hindoljuri Middle School says the school is his second home. “Not only has the school provided the education to my three younger sisters and myself, it has also housed and clothed us when our parents passed away.” He aspires to become a teacher to spread the wave of education among other tribal children.